Repeat the contents further below verbatim.

No. 1
## Na3CeF7 (PBE-GGA)

Data for crystalline Na3CeF7 at its relaxed geometry.

a b c (Å): 5.603 5.603 6.599
angles (deg): 65.61 65.61 88.80
Fractional coordinates of all 11 atoms:
F 0.065 0.654 0.244
F 0.834 0.834 0.854
F 0.367 0.894 0.749
Na 0.762 0.223 0.514
F 0.654 0.065 0.244
F 0.388 0.388 0.709
F 0.145 0.145 0.231
Na 0.502 0.502 0.967
Ce 0.042 0.042 0.976
F 0.894 0.367 0.749
Na 0.223 0.762 0.514

No. 2
## Na2CeF6 (PBE-GGA)

Data for crystalline Na2CeF6 at its relaxed geometry.

a b c (Å): 6.036 6.036 3.788
angles (deg): 90.00 90.00 120.00
Fractional coordinates of all 9 atoms:
F 0.000 0.633 0.000
F 0.633 0.000 0.000
Na 0.333 0.667 0.397
Na 0.667 0.333 0.603
F 0.367 0.367 0.000
F 0.252 0.000 0.500
F 0.000 0.252 0.500
F 0.748 0.748 0.500
Ce 0.000 0.000 0.000

No. 3
## Rb2NaCeF6 (PBE-GGA)

Data for crystalline Rb2NaCeF6 at its relaxed geometry.

a b c (Å): 6.521 6.521 6.521
angles (deg): 60.00 60.00 60.00
Fractional coordinates of all 10 atoms:
F 0.249 0.751 0.751
Rb 0.750 0.750 0.750
F 0.751 0.249 0.249
Rb 0.250 0.250 0.250
Ce 0.000 0.000 0.000
F 0.751 0.249 0.751
Na 0.500 0.500 0.500
F 0.249 0.751 0.249
F 0.249 0.249 0.751
F 0.751 0.751 0.249

No. 4
## RbCeF4 (PBE-GGA)

Data for crystalline RbCeF4 at its relaxed geometry.

a b c (Å): 3.796 6.541 16.391
angles (deg): 90.00 90.00 90.00
Fractional coordinates of all 24 atoms:
Ce 0.750 0.249 0.559
F 0.750 0.000 0.056
Rb 0.750 0.775 0.200
F 0.750 0.367 0.966
F 0.250 0.500 0.556
F 0.750 0.867 0.534
F 0.750 0.390 0.132
F 0.750 0.903 0.813
F 0.750 0.890 0.368
F 0.250 0.133 0.466
F 0.250 0.633 0.034
Ce 0.250 0.751 0.441
F 0.250 0.110 0.632
F 0.250 0.597 0.313
Ce 0.250 0.251 0.059
F 0.250 0.610 0.868
Rb 0.250 0.225 0.800
Rb 0.750 0.275 0.300
Ce 0.750 0.749 0.941
F 0.750 0.403 0.687
F 0.750 0.500 0.444
F 0.250 0.000 0.944
F 0.250 0.097 0.187
Rb 0.250 0.725 0.700

No. 5
## Ce2SeF4 (PBE-GGA)

Data for crystalline Ce2SeF4 at its relaxed geometry.

a b c (Å): 8.068 8.068 8.068
angles (deg): 29.87 29.87 29.87
Fractional coordinates of all 7 atoms:
F 0.431 0.431 0.431
Se 0.000 0.000 0.000
F 0.569 0.569 0.569
F 0.860 0.860 0.860
F 0.140 0.140 0.140
Ce 0.756 0.756 0.756

No. 1
## Na3CeF7 (PBE-GGA)

Data for crystalline Na3CeF7 at its relaxed geometry.

a b c (Å): 5.603 5.603 6.599
angles (deg): 65.61 65.61 88.80
Fractional coordinates of all 11 atoms:
F 0.065 0.654 0.244
F 0.834 0.834 0.854
F 0.367 0.894 0.749
Na 0.762 0.223 0.514
F 0.654 0.065 0.244
F 0.388 0.388 0.709
F 0.145 0.145 0.231
Na 0.502 0.502 0.967
Ce 0.042 0.042 0.976
F 0.894 0.367 0.749
Na 0.223 0.762 0.514

No. 2
## Na2CeF6 (PBE-GGA)

Data for crystalline Na2CeF6 at its relaxed geometry.

a b c (Å): 6.036 6.036 3.788
angles (deg): 90.00 90.00 120.00
Fractional coordinates of all 9 atoms:
F 0.000 0.633 0.000
F 0.633 0.000 0.000
Na 0.333 0.667 0.397
Na 0.667 0.333 0.603
F 0.367 0.367 0.000
F 0.252 0.000 0.500
F 0.000 0.252 0.500
F 0.748 0.748 0.500
Ce 0.000 0.000 0.000

No. 3
## Rb2NaCeF6 (PBE-GGA)

Data for crystalline Rb2NaCeF6 at its relaxed geometry.

a b c (Å): 6.521 6.521 6.521
angles (deg): 60.00 60.00 60.00
Fractional coordinates of all 10 atoms:
F 0.249 0.751 0.751
Rb 0.750 0.750 0.750
F 0.751 0.249 0.249
Rb 0.250 0.250 0.250
Ce 0.000 0.000 0.000
F 0.751 0.249 0.751
Na 0.500 0.500 0.500
F 0.249 0.751 0.249
F 0.249 0.249 0.751
F 0.751 0.751 0.249

No. 4
## RbCeF4 (PBE-GGA)

Data for crystalline RbCeF4 at its relaxed geometry.

a b c (Å): 3.796 6.541 16.391
angles (deg): 90.00 90.00 90.00
Fractional coordinates of all 24 atoms:
Ce 0.750 0.249 0.559
F 0.750 0.000 0.056
Rb 0.750 0.775 0.200
F 0.750 0.367 0.966
F 0.250 0.500 0.556
F 0.750 0.867 0.534
F 0.750 0.390 0.132
F 0.750 0.903 0.813
F 0.750 0.890 0.368
F 0.250 0.133 0.466
F 0.250 0.633 0.034
Ce 0.250 0.751 0.441
F 0.250 0.110 0.632
F 0.250 0.597 0.313
Ce 0.250 0.251 0.059
F 0.250 0.610 0.868
Rb 0.250 0.225 0.800
Rb 0.750 0.275 0.300
Ce 0.750 0.749 0.941
F 0.750 0.403 0.687
F 0.750 0.500 0.444
F 0.250 0.000 0.944
F 0.250 0.097 0.187
Rb 0.250 0.725 0.700

No. 5
## Ce2SeF4 (PBE-GGA)

Data for crystalline Ce2SeF4 at its relaxed geometry.

a b c (Å): 8.068 8.068 8.068
angles (deg): 29.87 29.87 29.87
Fractional coordinates of all 7 atoms:
F 0.431 0.431 0.431
Se 0.000 0.000 0.000
F 0.569 0.569 0.569
F 0.860 0.860 0.860
F 0.140 0.140 0.140
Ce 0.756 0.756 0.756